┌──
56
Properties=species:S:1:pos:R:3:mulliken_spin:R:1 method="wB97M-V/def2-TZVPD" relative_energy_ev=0.000 total_charge=-1 orbital_gap_ev="4.09 / 7.43" e_homo_ev="-1.5 / -4.8" multiplicity=3
C 2.10 -0.02 2.53 -0.011
C 2.26 -0.79 1.33 0.029
C 1.86 0.02 0.23 0.024
H 2.69 -1.79 1.27 0.005
C 1.40 1.28 0.74 0.104
C 1.57 1.27 2.15 -0.022
H 1.07 2.13 0.15 -0.015
C -1.09 -2.10 2.85 0.080
C 0.09 -2.66 2.26 -0.003
C -0.06 -2.60 0.83 -0.056
H 0.93 -3.09 2.80 0.005
C -1.34 -2.02 0.54 0.144
C -1.98 -1.71 1.80 -0.030
H 2.00 -0.23 -0.82 -0.008
H 1.40 2.11 2.82 -0.002
H 2.40 -0.31 3.54 0.006
H -2.99 -1.30 1.89 -0.012
H 0.62 -3.01 0.08 0.000
H -1.27 -2.00 3.92 0.000
Ti -0.05 -0.39 1.60 1.810
C -1.74 -1.41 -0.79 0.020
C -3.26 -1.30 -0.92 0.001
C -1.13 -2.23 -1.94 0.011
H -3.74 -2.27 -0.71 0.000
H -3.53 -1.00 -1.94 0.001
H -3.64 -0.55 -0.22 0.001
H -1.46 -3.28 -1.87 0.003
H -0.03 -2.23 -1.93 0.002
H -1.47 -1.84 -2.91 -0.002
C -1.06 -0.01 -0.72 0.139
C -1.91 1.19 -1.12 -0.022
H -0.12 0.03 -1.27 -0.037
H -0.93 0.35 0.37 -0.195
O -2.64 1.62 -0.22 0.022
N -1.67 1.73 -2.38 0.004
C -0.50 2.63 -2.44 0.008
H -2.52 2.18 -2.73 -0.003
C 0.79 1.90 -2.76 -0.004
C 2.02 2.52 -2.48 0.012
H 2.01 3.51 -2.01 0.001
C 3.22 1.89 -2.81 -0.005
H 4.16 2.40 -2.58 -0.002
C 3.22 0.65 -3.45 0.003
H 4.16 0.18 -3.74 0.000
C 2.00 0.03 -3.74 0.004
H 1.97 -0.93 -4.26 0.000
C 0.79 0.65 -3.40 -0.006
H -0.17 0.19 -3.66 -0.002
H -0.39 3.15 -1.47 0.000
H -0.71 3.40 -3.20 0.000
B -0.46 0.64 5.64 0.002
C -0.78 0.75 4.18 0.011
N -0.97 0.79 3.02 -0.018
H -1.42 1.09 6.23 0.003
H 0.55 1.31 5.82 -0.001
H -0.26 -0.53 5.90 0.001

61
Properties=species:S:1:pos:R:3:mulliken_charge:R:1 method="wB97M-V/def2-TZVPD" relative_energy_ev=0.067 total_charge=-2 orbital_gap_ev=5.22 e_homo_ev=-1.1
K 2.30 -1.80 2.57 0.764
C -2.32 -0.93 3.02 -0.800
Sb -3.36 0.77 2.23 0.737
C -1.75 1.66 1.13 -0.458
C -4.35 -0.20 0.55 -1.704
C -4.15 0.42 -0.79 0.799
C -4.75 1.68 -1.03 -0.578
C -4.57 2.35 -2.25 -0.566
C -3.88 1.77 -3.26 -0.697
C -3.24 0.55 -3.00 -0.402
C -3.37 -0.13 -1.80 0.868
C -2.64 -1.41 -1.61 -2.272
Sb -0.71 -1.40 -0.58 0.673
C -0.43 -3.46 -1.14 -1.386
C 0.24 -0.52 -2.31 -0.909
H -2.95 -1.35 3.84 0.351
H -1.41 -0.59 3.42 0.064
H -2.22 -1.72 2.31 0.221
H -1.94 2.73 1.07 0.450
H -1.75 1.25 0.12 -0.122
H -0.80 1.45 1.61 -0.051
H -5.39 -0.19 0.79 0.601
H -4.04 -1.26 0.54 0.362
H -5.34 2.12 -0.23 0.407
H -5.15 3.27 -2.39 0.326
H -3.74 2.19 -4.23 0.406
H -2.67 0.08 -3.81 0.309
H -2.33 -1.87 -2.51 0.753
H -3.22 -2.08 -0.99 0.705
H 0.03 -3.48 -2.15 0.382
H -1.41 -3.95 -1.15 0.383
H 0.24 -4.00 -0.47 0.335
H 0.15 -1.19 -3.17 0.415
H 1.28 -0.34 -2.08 -0.102
H -0.17 0.44 -2.55 0.384
Se 0.22 -1.62 5.53 -0.630
Se 1.55 -3.57 5.58 -0.265
Te 1.19 -5.06 3.58 -0.138
Se 3.41 -4.77 2.48 -0.795
I 3.21 -2.86 -1.39 0.077
C 3.84 -0.88 -1.83 0.189
C 4.71 -0.82 -2.89 -0.806
C 5.28 0.43 -3.24 -0.528
C 4.84 1.54 -2.58 -0.675
C 3.97 1.48 -1.51 1.070
C 3.62 2.64 -0.77 -0.884
C 2.85 2.55 0.34 -0.971
C 2.29 1.29 0.75 0.185
C 2.56 0.08 0.11 0.009
C 3.43 0.23 -1.04 -0.413
H 4.99 -1.71 -3.41 0.381
H 5.90 0.52 -4.13 0.313
H 5.25 2.52 -2.86 0.261
H 4.00 3.61 -1.09 0.272
H 2.55 3.44 0.82 0.408
H 1.59 1.32 1.61 0.357
Cl 0.46 2.64 4.62 -0.173
C 1.70 1.69 5.41 0.280
Cl 3.12 1.60 4.35 -0.174
H 1.34 0.68 5.52 -0.303
H 1.97 2.19 6.32 0.306

61
Properties=species:S:1:pos:R:3:mulliken_spin:R:1 method="wB97M-V/def2-TZVPD" total_charge=+3 orbital_gap_ev="7.62 / 2.99" e_homo_ev="-16.3 / -15.5" multiplicity=6
Ni -0.25 2.78 3.42 0.966
Ni 2.74 3.01 2.21 1.729
O 1.41 3.97 3.24 0.136
H 1.47 4.89 3.56 0.000
C 0.00 1.21 -0.06 -0.009
C 0.68 0.51 1.09 0.003
O 0.92 1.47 2.10 0.098
H -0.29 0.46 -0.79 0.001
H 0.81 1.78 -0.52 0.003
H -0.84 1.83 0.25 -0.002
H 1.58 0.01 0.73 0.000
H 0.03 -0.28 1.47 0.012
N -5.25 0.80 -1.23 0.763
C -5.98 -0.33 -1.38 0.028
C -5.67 -1.50 -0.70 0.071
C -4.60 -1.57 0.10 -0.017
C -3.78 -0.45 0.27 0.074
C -4.10 0.71 -0.46 0.019
H -6.74 -0.40 -2.14 0.024
H -6.22 -2.39 -0.98 0.010
H -4.36 -2.47 0.63 0.011
H -2.90 -0.41 0.89 0.011
└──

Return the listing further above without additions.

56
Properties=species:S:1:pos:R:3:mulliken_spin:R:1 method="wB97M-V/def2-TZVPD" relative_energy_ev=0.000 total_charge=-1 orbital_gap_ev="4.09 / 7.43" e_homo_ev="-1.5 / -4.8" multiplicity=3
C 2.10 -0.02 2.53 -0.011
C 2.26 -0.79 1.33 0.029
C 1.86 0.02 0.23 0.024
H 2.69 -1.79 1.27 0.005
C 1.40 1.28 0.74 0.104
C 1.57 1.27 2.15 -0.022
H 1.07 2.13 0.15 -0.015
C -1.09 -2.10 2.85 0.080
C 0.09 -2.66 2.26 -0.003
C -0.06 -2.60 0.83 -0.056
H 0.93 -3.09 2.80 0.005
C -1.34 -2.02 0.54 0.144
C -1.98 -1.71 1.80 -0.030
H 2.00 -0.23 -0.82 -0.008
H 1.40 2.11 2.82 -0.002
H 2.40 -0.31 3.54 0.006
H -2.99 -1.30 1.89 -0.012
H 0.62 -3.01 0.08 0.000
H -1.27 -2.00 3.92 0.000
Ti -0.05 -0.39 1.60 1.810
C -1.74 -1.41 -0.79 0.020
C -3.26 -1.30 -0.92 0.001
C -1.13 -2.23 -1.94 0.011
H -3.74 -2.27 -0.71 0.000
H -3.53 -1.00 -1.94 0.001
H -3.64 -0.55 -0.22 0.001
H -1.46 -3.28 -1.87 0.003
H -0.03 -2.23 -1.93 0.002
H -1.47 -1.84 -2.91 -0.002
C -1.06 -0.01 -0.72 0.139
C -1.91 1.19 -1.12 -0.022
H -0.12 0.03 -1.27 -0.037
H -0.93 0.35 0.37 -0.195
O -2.64 1.62 -0.22 0.022
N -1.67 1.73 -2.38 0.004
C -0.50 2.63 -2.44 0.008
H -2.52 2.18 -2.73 -0.003
C 0.79 1.90 -2.76 -0.004
C 2.02 2.52 -2.48 0.012
H 2.01 3.51 -2.01 0.001
C 3.22 1.89 -2.81 -0.005
H 4.16 2.40 -2.58 -0.002
C 3.22 0.65 -3.45 0.003
H 4.16 0.18 -3.74 0.000
C 2.00 0.03 -3.74 0.004
H 1.97 -0.93 -4.26 0.000
C 0.79 0.65 -3.40 -0.006
H -0.17 0.19 -3.66 -0.002
H -0.39 3.15 -1.47 0.000
H -0.71 3.40 -3.20 0.000
B -0.46 0.64 5.64 0.002
C -0.78 0.75 4.18 0.011
N -0.97 0.79 3.02 -0.018
H -1.42 1.09 6.23 0.003
H 0.55 1.31 5.82 -0.001
H -0.26 -0.53 5.90 0.001

61
Properties=species:S:1:pos:R:3:mulliken_charge:R:1 method="wB97M-V/def2-TZVPD" relative_energy_ev=0.067 total_charge=-2 orbital_gap_ev=5.22 e_homo_ev=-1.1
K 2.30 -1.80 2.57 0.764
C -2.32 -0.93 3.02 -0.800
Sb -3.36 0.77 2.23 0.737
C -1.75 1.66 1.13 -0.458
C -4.35 -0.20 0.55 -1.704
C -4.15 0.42 -0.79 0.799
C -4.75 1.68 -1.03 -0.578
C -4.57 2.35 -2.25 -0.566
C -3.88 1.77 -3.26 -0.697
C -3.24 0.55 -3.00 -0.402
C -3.37 -0.13 -1.80 0.868
C -2.64 -1.41 -1.61 -2.272
Sb -0.71 -1.40 -0.58 0.673
C -0.43 -3.46 -1.14 -1.386
C 0.24 -0.52 -2.31 -0.909
H -2.95 -1.35 3.84 0.351
H -1.41 -0.59 3.42 0.064
H -2.22 -1.72 2.31 0.221
H -1.94 2.73 1.07 0.450
H -1.75 1.25 0.12 -0.122
H -0.80 1.45 1.61 -0.051
H -5.39 -0.19 0.79 0.601
H -4.04 -1.26 0.54 0.362
H -5.34 2.12 -0.23 0.407
H -5.15 3.27 -2.39 0.326
H -3.74 2.19 -4.23 0.406
H -2.67 0.08 -3.81 0.309
H -2.33 -1.87 -2.51 0.753
H -3.22 -2.08 -0.99 0.705
H 0.03 -3.48 -2.15 0.382
H -1.41 -3.95 -1.15 0.383
H 0.24 -4.00 -0.47 0.335
H 0.15 -1.19 -3.17 0.415
H 1.28 -0.34 -2.08 -0.102
H -0.17 0.44 -2.55 0.384
Se 0.22 -1.62 5.53 -0.630
Se 1.55 -3.57 5.58 -0.265
Te 1.19 -5.06 3.58 -0.138
Se 3.41 -4.77 2.48 -0.795
I 3.21 -2.86 -1.39 0.077
C 3.84 -0.88 -1.83 0.189
C 4.71 -0.82 -2.89 -0.806
C 5.28 0.43 -3.24 -0.528
C 4.84 1.54 -2.58 -0.675
C 3.97 1.48 -1.51 1.070
C 3.62 2.64 -0.77 -0.884
C 2.85 2.55 0.34 -0.971
C 2.29 1.29 0.75 0.185
C 2.56 0.08 0.11 0.009
C 3.43 0.23 -1.04 -0.413
H 4.99 -1.71 -3.41 0.381
H 5.90 0.52 -4.13 0.313
H 5.25 2.52 -2.86 0.261
H 4.00 3.61 -1.09 0.272
H 2.55 3.44 0.82 0.408
H 1.59 1.32 1.61 0.357
Cl 0.46 2.64 4.62 -0.173
C 1.70 1.69 5.41 0.280
Cl 3.12 1.60 4.35 -0.174
H 1.34 0.68 5.52 -0.303
H 1.97 2.19 6.32 0.306

61
Properties=species:S:1:pos:R:3:mulliken_spin:R:1 method="wB97M-V/def2-TZVPD" total_charge=+3 orbital_gap_ev="7.62 / 2.99" e_homo_ev="-16.3 / -15.5" multiplicity=6
Ni -0.25 2.78 3.42 0.966
Ni 2.74 3.01 2.21 1.729
O 1.41 3.97 3.24 0.136
H 1.47 4.89 3.56 0.000
C 0.00 1.21 -0.06 -0.009
C 0.68 0.51 1.09 0.003
O 0.92 1.47 2.10 0.098
H -0.29 0.46 -0.79 0.001
H 0.81 1.78 -0.52 0.003
H -0.84 1.83 0.25 -0.002
H 1.58 0.01 0.73 0.000
H 0.03 -0.28 1.47 0.012
N -5.25 0.80 -1.23 0.763
C -5.98 -0.33 -1.38 0.028
C -5.67 -1.50 -0.70 0.071
C -4.60 -1.57 0.10 -0.017
C -3.78 -0.45 0.27 0.074
C -4.10 0.71 -0.46 0.019
H -6.74 -0.40 -2.14 0.024
H -6.22 -2.39 -0.98 0.010
H -4.36 -2.47 0.63 0.011
H -2.90 -0.41 0.89 0.011